
Sunday, November 22, 2009

Banana Brownies

With the Grand Thanksgiving Feast approaching, I've been trying to be especially diligent during the past two weeks with minimalistic grocery shopping, putting to use items in the pantry, clearing space in the freezer, and generally tidying up odds and ends in anticipation of pre-holiday groceries and post-holiday leftovers. Last night, as Zach was playing Dragon Age and I was prepping supper ingredients, I decided to fix us something fun for dessert as we were planning on having an especially light and healthful mixture of steamed veggies and quinoa for dinner. Glancing across the kitchen, two very ripe bananas caught my eye, perched atop a bunch of green bananas in the fruit bowl. At first, I hesitated - we always have on hand an abundance of bananas in varying degrees of ripeness, and in effort to let nothing go to waste I had already made banana bread this week, and banana cookies last week, and I wondered if perhaps we had already exceeded our quota for banana baked goods... Yet still, I persisted. Perhaps... banana brownies?

== What comes next are data records, not part of the text ==
********
[1]
********

Gooey, sweet fruit paired with dark chocolate sounded ideal indeed...

Banana Brownies

Molecular data that have nothing to do with the piece
<<<
No. 1
ORCA calculation (ωB97M-V/def2-TZVPD) on an isolated ion of composition C6H8N2P and charge +1.

total charge: +1
energy relative to the best compared isomer or geometry (same formula, charge and spin): 1.336 eV
strongest force on any atom: 1.3 eV Å⁻¹
2S+1: 1

Last column: Mulliken charge in e.
Atoms and positions in Å:
1 C 2.350877 0.930657 1.646906  -0.318
2 C 1.814648 1.295570 0.471875  -0.956
3 C 1.673646 -0.309082 2.034354  -0.163
4 C 0.802872 0.274056 0.154440  0.774
5 C -0.051486 0.303546 -0.878869  -0.526
6 C -2.399495 -0.153119 -0.957898  -0.781
7 N 0.796485 -0.688001 1.174306  -0.471
8 N -1.050717 -0.665879 -1.138573  0.242
9 P -0.658868 -2.162041 -1.588552  0.305
10 H 3.112809 1.416930 2.221678  0.433
11 H 2.045611 2.137779 -0.149470  0.434
12 H 1.853466 -0.873509 2.931691  0.452
13 H -0.056248 1.155109 -1.548612  0.450
14 H -2.712890 -0.316157 0.075447  0.322
15 H -3.104952 -0.643709 -1.629584  0.335
16 H -2.421534 0.921438 -1.142724  0.357
17 H -1.994225 -2.623587 -1.676415  0.111

Atoms 1-3, force components in eV/Å:
-0.1 0.2 -0.4
0.1 0.0 0.2
-0.2 0.0 -0.3

No. 2
ORCA calculation (ωB97M-V/def2-TZVPD) on C6H8N2S3 as an isolated structure.

energy relative to the best compared isomer or geometry (same formula, charge and spin): 4.199 eV
strongest force on any atom: 4.4 eV Å⁻¹
2S+1: 1

Last column: Mulliken charge in e.
Atoms and positions in Å:
1 C 3.200891 2.613874 -0.707632  0.359
2 C 4.192767 -0.662532 0.436035  0.498
3 C -1.249467 0.891491 0.712827  -1.733
4 C -0.018068 -0.858108 -0.664666  -1.633
5 C 1.005013 1.396877 -0.388423  -0.797
6 C 0.111699 0.413633 0.251271  1.274
7 N 3.711768 3.272987 -1.449373  -0.357
8 N 4.014019 0.415505 -0.027831  -0.458
9 S 1.057319 -0.439173 1.686670  -0.261
10 S 2.497672 1.489474 0.373944  0.247
11 S 4.660053 -1.939899 1.184147  -0.384
12 H -1.780620 0.105115 1.161595  0.488
13 H -1.218861 1.723654 1.433596  0.360
14 H -1.891435 1.091059 -0.096513  0.477
15 H -0.954108 -0.850134 -1.178086  0.407
16 H 0.833446 -0.971143 -1.254128  0.435
17 H 0.003265 -1.706107 -0.058913  0.476
18 H 0.685030 2.130918 -1.102292  0.438
19 H 0.591501 0.320334 2.710689  0.165

Atoms 1-3, force components in eV/Å:
-1.8 -2.0 2.4
0.6 0.3 0.6
0.9 0.7 0.7

No. 3
ORCA calculation (ωB97M-V/def2-TZVPD) on C6H8N3O2P3 as an isolated structure.

energy relative to the best compared isomer or geometry (same formula, charge and spin): 2.190 eV
strongest force on any atom: 4.8 eV Å⁻¹
2S+1: 1

Last column: Mulliken charge in e.
Atoms and positions in Å:
1 C 2.938586 -0.448602 0.486968  -0.626
2 C 2.192890 0.256785 1.411731  -0.570
3 C 2.367964 -0.764141 -0.761233  -0.548
4 C 0.930531 0.630645 1.085042  -0.195
5 C 1.162508 -0.253045 -1.169610  -0.444
6 C 0.406451 0.388177 -0.186183  0.466
7 N -5.047053 -0.408886 -0.074179  -0.194
8 N -3.159653 1.350806 -0.568861  -0.193
9 N -2.613407 -1.115497 0.060214  0.056
10 O -1.614344 -1.941581 0.620077  -0.443
11 O -0.901135 0.760008 -0.500388  -0.265
>>>

1 1/4 cup whole wheat flour
1 1/4 cup all-purpose flour
1/2 tsp baking powder
1/2 tsp baking soda
1/4 tsp salt
2 T cocoa powder
2 T applesauce
2 T light vegan marg or butter
1/2 cup turbinado sugar
1 egg
1 tsp vanilla
2 ripe bananas, mashed
1/2 cup dark chocolate chips

~ Preheat the oven to 350 degrees F. Coat an 8X8 baking pan with cooking spray.
~ Whisk together the whole wheat flour, all=purpose flour, baking powder, baking soda, salt, and cocoa powder, and set aside.
~ Cream the applesauce, light vegan marg or butter, and turbinado sugar until well blended.
~ Add the egg, vanilla, and mashed banana to the applesauce mixture, and beat well.
~ Gently stir in the dry ingredients.
~ Fold in the chocolate chips.
~ Pour the batter into the baking pan, and bake for 30 minutes - until a toothpick inserted in the center comes out clean. Allow the brownies to cool for a bit to set, and then serve warm or cool, topped with whipped cream, of course... :-)


  1. Mmm, an ideal combination, for sure! Yum :)

  2. The great thing about these is that they are good for you as well!!!!

  3. Hmmm..sounds like you guys need to cut back on your banana purchases! Not that it's bad to use bananas in lots of things, but sometimes I have to force myself to use up food because it's about to go bad, and that is when I take it off my list, or just purchase less.
    Those brownies look so good though, and the idea of banana cookies sounds quite interesting. I love banana in products, as long as it's NATURAL banana flavoring, not nasty fake!

  4. Woow...they look gorgeous!!! Am stop staring at them, praying they pop out of the screen into my mouth :D

  5. Now that sounds heavenly. Slap on some PB and well I'd have to call it a day!

  6. As a huge fan of bananas and chocolate, these look heavenly to me:) Great idea.

  7. I have a question--was the banana taste really noticable? Or is this one of those things like apple sauce where you can't taste it? I ask because I actually like chocolate covered bananas, and was wondering if this would substitute.

    Because of local eating during the summer, I only buy bananas during the winter months, so I'm gearing up for my banana baking

  8. I love how ripening bananas can be used for so many things, looks wonderful!

  9. A great use for those bananas, for sure!

    Hope you have a fabulous Thanksgiving! :)

  10. Love the flavor of banana in brownies.Happy thanksgiving!

  11. Just popping in to wish you, Zach, and your whole family a joyous, blessed and Happy Thanksgiving, Astra! Have a wonderful holiday!!!

  12. Oh I can pretend I am eating fruit with this. These look delicious. One I will log in the back of my head.

  13. What a yummy treat! I love bananas, as does my hubby, who always buys too many in hopes that he'll get banana bread :)

    Happy Thanksgiving!

  14. What a great combo! They look delicious!

Attached: calculated molecules:
- - -
The following is a DFT calculation (the ωB97M-V functional and the def2-TZVPD basis) of an isolated ion of composition C5H11N2O and charge +1.

- Strongest force on any atom: 4.79 eV/A
- HOMO level: -0.53044 Ha
- Net charge: +1

Geometry (Å):
O: -0.182120 1.941153 1.094243
C: -0.362599 0.753910 1.230739
N: -1.190341 0.376930 2.274211
C: 0.345428 -0.198329 0.371239
N: 0.995787 0.511334 -0.800841
C: 1.081660 -0.496711 -1.914567
C: -0.009751 -1.451800 -1.709888
C: -0.600633 -1.290630 -0.316633
H: -1.746231 -0.393144 2.438005
H: -1.747635 1.240037 2.475513
H: 1.113800 -0.806354 1.106885
H: 0.316613 1.302974 -1.054703
H: 1.831225 1.022380 -0.702502
H: 1.235423 -0.014283 -2.958970
H: 2.088110 -0.964402 -1.804677
H: 0.351904 -2.510836 -1.880200
H: -0.816266 -1.362281 -2.573117
H: -1.611405 -0.982834 -0.308963
H: -0.921328 -2.176974 0.229853

Atoms 1-2, force components in eV/Å:
O 0.4954 0.7552 -1.0013
C -1.3153 0.7027 1.8504

=====

The following is a DFT calculation (the ωB97M-V functional and the def2-TZVPD basis) of an isolated ion of composition C5H11N2O and charge +1.

- Strongest force on any atom: 5.02 eV/A
- HOMO level: -0.52825 Ha
- Net charge: +1

Geometry (Å):
C: 3.528784 0.807174 -0.346529
C: 1.472715 -0.207761 -0.216045
C: -1.775522 -0.459753 1.374362
C: -1.716555 -0.289631 -1.187927
C: 0.099027 0.514885 0.339102
N: 2.620875 0.250069 0.319739
N: -0.998415 -0.439842 0.205501
O: 1.262082 -1.023927 -1.075012
H: 4.419175 1.105894 0.138947
H: 3.317147 1.025119 -1.541567
H: -2.038477 0.548342 1.693572
H: -2.793196 -0.937869 1.176521
H: -1.322321 -0.932572 2.322861
H: -2.332524 0.638645 -1.175637
H: -0.930684 -0.325954 -1.905856
H: -2.335399 -1.081948 -1.330144
H: -0.167573 1.396958 -0.158864
H: 0.246588 0.793648 1.433279
H: -0.555728 -1.381477 -0.066297

Atoms 1-2, force components in eV/Å:
C -1.6604 0.3941 -3.7331
C -3.1568 1.8355 -0.4428

=====

The following is a DFT calculation (the ωB97M-V functional and the def2-TZVPD basis) of an isolated ion of composition C5H11N2O and charge +1.

- Strongest force on any atom: 5.77 eV/A
- HOMO level: -0.50229 Ha
- Net charge: +1

Geometry (Å):
C: 1.268609 1.463316 -0.027782
C: -0.196935 1.428299 -0.367776
C: 0.031722 -0.686862 0.771094
C: 0.651738 -1.959565 0.719193
C: -1.918672 -0.347907 -0.664244
N: 2.006403 2.448816 -0.315286
N: -0.478362 0.030727 -0.419757
O: 1.641479 0.353971 0.584070
H: -0.798110 1.876377 0.483109
H: -0.351712 1.879948 -1.366860
H: -0.496658 -0.502417 1.647981
H: 1.134475 -2.071518 1.705019
H: 1.395547 -1.947676 -0.160303
H: -0.088068 -2.817084 0.618480
H: -1.961947 -1.506956 -0.532075
H: -2.554499 0.129566 0.118311
H: -1.996972 0.095248 -1.670182
H: 2.825788 2.488848 0.174836
H: -0.113824 -0.355130 -1.297827

Atoms 1-2, force components in eV/Å:
C 0.9773 1.1733 -0.0103
C 0.1633 1.9584 0.2730

=====

The following is a DFT calculation (the ωB97M-V functional and the def2-TZVPD basis) of an isolated ion of composition C5H11N2O and charge +1.
- - -

  15. love the idea of putting Icy on the brownies.. you really give me an idea of a good snacks. THanks
